# Source
-- begin --
No. 1
## KNiP3O9 (PBE with a Hubbard U)

Data for a relaxed structure of KNiP3O9.

Properties
- piezoelectric modulus e_max (C/m²) = 0.3
- energy of formation from the pure elements (kJ per mole of atoms) = -243.1
- spin magnetization (μB per formula unit) = 0.000

Geometry as POSCAR:
```
KNiP3O9
1.0
-6.344 0.198 -0.381
-3.028 -4.765 4.252
-0.474 13.784 15.111
O P Ni K
36 12 4 4
direct
0.113 0.790 0.425 O
0.113 0.789 0.924 O
0.530 0.747 0.438 O
0.782 0.583 0.242 O
0.548 0.074 0.399 O
0.922 0.950 0.664 O
0.530 0.747 0.938 O
0.336 0.731 0.683 O
0.282 0.083 0.992 O
0.048 0.574 0.649 O
0.548 0.074 0.899 O
0.717 0.922 0.510 O
0.922 0.950 0.164 O
0.836 0.231 0.933 O
0.836 0.231 0.433 O
0.613 0.290 0.675 O
0.030 0.247 0.688 O
0.613 0.290 0.175 O
0.717 0.922 0.010 O
0.422 0.449 0.914 O
0.282 0.083 0.492 O
0.170 0.771 0.566 O
0.882 0.216 0.074 O
0.882 0.216 0.574 O
0.382 0.716 0.324 O
0.217 0.422 0.260 O
0.422 0.450 0.414 O
0.170 0.771 0.066 O
0.382 0.716 0.824 O
0.670 0.271 0.316 O
0.336 0.731 0.183 O
0.670 0.271 0.816 O
0.030 0.247 0.188 O
0.217 0.422 0.760 O
0.782 0.583 0.742 O
0.048 0.574 0.149 O
0.014 0.465 0.716 P
0.844 0.188 0.645 P
0.514 0.965 0.966 P
0.642 0.256 0.388 P
0.844 0.188 0.145 P
0.014 0.465 0.216 P
0.514 0.965 0.466 P
0.344 0.688 0.895 P
0.142 0.756 0.138 P
0.142 0.756 0.638 P
0.642 0.256 0.888 P
0.344 0.688 0.395 P
0.000 0.001 0.500 Ni
0.000 0.001 0.000 Ni
0.500 0.501 0.750 Ni
0.500 0.501 0.250 Ni
0.500 0.993 0.250 K
0.500 0.993 0.750 K
0.000 0.493 0.500 K
0.000 0.493 0.000 K
```

***

No. 2
## K4NiP6O25 (PBE with a Hubbard U)

Data for a relaxed structure of K4NiP6O25.

Properties
- energy relative to the lowest polymorph listed for this composition (meV per atom) = 0.0
- energy of formation from the pure elements (kJ per mole of atoms) = -166.5
- spin magnetization (μB per formula unit) = 12.000

Geometry as POSCAR:
```
K4NiP6O25
1.0
9.458 -8.358 2.500
2.619 -11.272 2.423
4.474 -1.503 -5.743
P O K Ni
6 25 4 1
direct
0.492 0.956 0.044 P
0.044 0.508 0.492 P
0.013 0.754 0.638 P
0.404 0.362 0.246 P
0.246 0.987 0.404 P
0.638 0.596 0.013 P
0.878 0.970 0.646 O
0.105 0.895 0.728 O
0.486 0.514 0.486 O
0.822 0.445 0.050 O
0.283 0.717 0.891 O
0.915 0.731 0.597 O
0.495 0.354 0.030 O
0.316 0.950 0.555 O
0.891 0.109 0.283 O
0.555 0.178 0.316 O
0.050 0.684 0.822 O
0.244 0.578 0.422 O
0.269 0.085 0.243 O
0.626 0.872 0.128 O
0.939 0.898 0.102 O
0.128 0.374 0.626 O
0.597 0.757 0.915 O
0.422 0.756 0.244 O
0.102 0.061 0.939 O
0.646 0.505 0.878 O
0.728 0.272 0.105 O
0.243 0.403 0.269 O
0.910 0.566 0.434 O
0.434 0.090 0.910 O
0.030 0.122 0.495 O
0.521 0.979 0.521 K
0.490 0.299 0.701 K
0.701 0.510 0.490 K
0.021 0.479 0.021 K
0.003 0.997 0.003 Ni
```

***

No. 3
## K2Ni4P4O15 (PBE with a Hubbard U)

Data for a relaxed structure of K2Ni4P4O15.

Properties
- energy of formation from the pure elements (kJ per mole of atoms) = -206.5
- spin magnetization (μB per formula unit) = 2.648

Geometry as POSCAR:
```
K2Ni4P4O15
1.0
6.911 5.215 0.000
-6.911 5.215 0.000
0.000 4.171 17.885
Ni O K P
16 60 8 16
direct
0.824 0.176 0.250 Ni
0.954 0.046 0.750 Ni
0.000 0.500 0.000 Ni
0.912 0.268 0.431 Ni
0.463 0.537 0.750 Ni
0.537 0.463 0.250 Ni
0.088 0.732 0.569 Ni
0.176 0.824 0.750 Ni
0.849 0.958 0.568 Ni
0.042 0.151 0.932 Ni
0.732 0.088 0.069 Ni
0.268 0.912 0.931 Ni
0.958 0.849 0.068 Ni
0.046 0.954 0.250 Ni
0.500 0.000 0.500 Ni
0.151 0.042 0.432 Ni
0.161 0.288 0.406 O
0.046 0.491 0.571 O
0.903 0.606 0.079 O
0.994 0.115 0.051 O
0.288 0.161 0.906 O
0.667 0.224 0.440 O
0.986 0.299 0.313 O
0.387 0.816 0.693 O
0.776 0.333 0.060 O
0.174 0.107 0.315 O
0.062 0.750 0.318 O
0.613 0.184 0.307 O
0.107 0.174 0.815 O
0.938 0.250 0.682 O
0.885 0.006 0.449 O
0.466 0.593 0.638 O
0.106 0.789 0.449 O
0.954 0.509 0.429 O
0.593 0.466 0.138 O
0.894 0.211 0.551 O
0.835 0.960 0.318 O
0.165 0.040 0.682 O
0.701 0.014 0.187 O
0.006 0.885 0.949 O
0.893 0.826 0.185 O
0.184 0.613 0.807 O
0.333 0.776 0.560 O
0.708 0.582 0.734 O
0.839 0.712 0.594 O
0.595 0.861 0.427 O
-- stop --

# Request
Please duplicate all of the material earlier on character by character.

# Done
No. 1
## KNiP3O9 (PBE with a Hubbard U)

Data for a relaxed structure of KNiP3O9.

Properties
- piezoelectric modulus e_max (C/m²) = 0.3
- energy of formation from the pure elements (kJ per mole of atoms) = -243.1
- spin magnetization (μB per formula unit) = 0.000

Geometry as POSCAR:
```
KNiP3O9
1.0
-6.344 0.198 -0.381
-3.028 -4.765 4.252
-0.474 13.784 15.111
O P Ni K
36 12 4 4
direct
0.113 0.790 0.425 O
0.113 0.789 0.924 O
0.530 0.747 0.438 O
0.782 0.583 0.242 O
0.548 0.074 0.399 O
0.922 0.950 0.664 O
0.530 0.747 0.938 O
0.336 0.731 0.683 O
0.282 0.083 0.992 O
0.048 0.574 0.649 O
0.548 0.074 0.899 O
0.717 0.922 0.510 O
0.922 0.950 0.164 O
0.836 0.231 0.933 O
0.836 0.231 0.433 O
0.613 0.290 0.675 O
0.030 0.247 0.688 O
0.613 0.290 0.175 O
0.717 0.922 0.010 O
0.422 0.449 0.914 O
0.282 0.083 0.492 O
0.170 0.771 0.566 O
0.882 0.216 0.074 O
0.882 0.216 0.574 O
0.382 0.716 0.324 O
0.217 0.422 0.260 O
0.422 0.450 0.414 O
0.170 0.771 0.066 O
0.382 0.716 0.824 O
0.670 0.271 0.316 O
0.336 0.731 0.183 O
0.670 0.271 0.816 O
0.030 0.247 0.188 O
0.217 0.422 0.760 O
0.782 0.583 0.742 O
0.048 0.574 0.149 O
0.014 0.465 0.716 P
0.844 0.188 0.645 P
0.514 0.965 0.966 P
0.642 0.256 0.388 P
0.844 0.188 0.145 P
0.014 0.465 0.216 P
0.514 0.965 0.466 P
0.344 0.688 0.895 P
0.142 0.756 0.138 P
0.142 0.756 0.638 P
0.642 0.256 0.888 P
0.344 0.688 0.395 P
0.000 0.001 0.500 Ni
0.000 0.001 0.000 Ni
0.500 0.501 0.750 Ni
0.500 0.501 0.250 Ni
0.500 0.993 0.250 K
0.500 0.993 0.750 K
0.000 0.493 0.500 K
0.000 0.493 0.000 K
```

***

No. 2
## K4NiP6O25 (PBE with a Hubbard U)

Data for a relaxed structure of K4NiP6O25.

Properties
- energy relative to the lowest polymorph listed for this composition (meV per atom) = 0.0
- energy of formation from the pure elements (kJ per mole of atoms) = -166.5
- spin magnetization (μB per formula unit) = 12.000

Geometry as POSCAR:
```
K4NiP6O25
1.0
9.458 -8.358 2.500
2.619 -11.272 2.423
4.474 -1.503 -5.743
P O K Ni
6 25 4 1
direct
0.492 0.956 0.044 P
0.044 0.508 0.492 P
0.013 0.754 0.638 P
0.404 0.362 0.246 P
0.246 0.987 0.404 P
0.638 0.596 0.013 P
0.878 0.970 0.646 O
0.105 0.895 0.728 O
0.486 0.514 0.486 O
0.822 0.445 0.050 O
0.283 0.717 0.891 O
0.915 0.731 0.597 O
0.495 0.354 0.030 O
0.316 0.950 0.555 O
0.891 0.109 0.283 O
0.555 0.178 0.316 O
0.050 0.684 0.822 O
0.244 0.578 0.422 O
0.269 0.085 0.243 O
0.626 0.872 0.128 O
0.939 0.898 0.102 O
0.128 0.374 0.626 O
0.597 0.757 0.915 O
0.422 0.756 0.244 O
0.102 0.061 0.939 O
0.646 0.505 0.878 O
0.728 0.272 0.105 O
0.243 0.403 0.269 O
0.910 0.566 0.434 O
0.434 0.090 0.910 O
0.030 0.122 0.495 O
0.521 0.979 0.521 K
0.490 0.299 0.701 K
0.701 0.510 0.490 K
0.021 0.479 0.021 K
0.003 0.997 0.003 Ni
```

***

No. 3
## K2Ni4P4O15 (PBE with a Hubbard U)

Data for a relaxed structure of K2Ni4P4O15.

Properties
- energy of formation from the pure elements (kJ per mole of atoms) = -206.5
- spin magnetization (μB per formula unit) = 2.648

Geometry as POSCAR:
```
K2Ni4P4O15
1.0
6.911 5.215 0.000
-6.911 5.215 0.000
0.000 4.171 17.885
Ni O K P
16 60 8 16
direct
0.824 0.176 0.250 Ni
0.954 0.046 0.750 Ni
0.000 0.500 0.000 Ni
0.912 0.268 0.431 Ni
0.463 0.537 0.750 Ni
0.537 0.463 0.250 Ni
0.088 0.732 0.569 Ni
0.176 0.824 0.750 Ni
0.849 0.958 0.568 Ni
0.042 0.151 0.932 Ni
0.732 0.088 0.069 Ni
0.268 0.912 0.931 Ni
0.958 0.849 0.068 Ni
0.046 0.954 0.250 Ni
0.500 0.000 0.500 Ni
0.151 0.042 0.432 Ni
0.161 0.288 0.406 O
0.046 0.491 0.571 O
0.903 0.606 0.079 O
0.994 0.115 0.051 O
0.288 0.161 0.906 O
0.667 0.224 0.440 O
0.986 0.299 0.313 O
0.387 0.816 0.693 O
0.776 0.333 0.060 O
0.174 0.107 0.315 O
0.062 0.750 0.318 O
0.613 0.184 0.307 O
0.107 0.174 0.815 O
0.938 0.250 0.682 O
0.885 0.006 0.449 O
0.466 0.593 0.638 O
0.106 0.789 0.449 O
0.954 0.509 0.429 O
0.593 0.466 0.138 O
0.894 0.211 0.551 O
0.835 0.960 0.318 O
0.165 0.040 0.682 O
0.701 0.014 0.187 O
0.006 0.885 0.949 O
0.893 0.826 0.185 O
0.184 0.613 0.807 O
0.333 0.776 0.560 O
0.708 0.582 0.734 O
0.839 0.712 0.594 O
0.595 0.861 0.427 O